Applied Imaging

Applied Imaging

Grand Rapids, MI

We have found information with phone and email addresses about the company Applied Imaging, based in 5282 E Paris Ave, Grand Rapids, MI 49512, MI. The company works in the Business Supplies and Equipment industry. This business is connected with these specialties: Document Management, Content Management, Managed Print Services, Document Output Devices, and Ricoh. Phone numbers, email addresses and other contact information for the company and Secretary Sandra Lowery can be found on our website.

Company Details

[Molecular data that have nothing to do with the text]
'''
{
  "formula": "C37H43N6O3Se3SiTeTl",
  "method": "ωB97M-V/def2-TZVPD",
  "e_lumo_ev": 3.64,
  "homo_ha": -0.084,
  "e_tot_ha": -9924.49791,
  "orbital_gap_ha": 0.21828,
  "total_charge": -2,
  "de_lowest_kcal_mol": 7.7,
  "symbols": ["Tl", "Se", "Se", "Te", "Se", "N", "C", "C", "C", "C", "N", "C", "N", "N", "C", "O", "O", "H", "H", "H", "H", "H", "H", "H", "H", "H", "H", "H", "H", "H", "H", "C", "N", "C", "C", "C", "C", "C", "N", "C", "C", "C", "C", "C", "C", "H", "H", "H", "H", "H", "H", "H", "H", "H", "H", "H", "O", "Si", "C", "C", "C", "C", "C", "C", "C", "C", "C", "C", "C", "C", "C", "C", "C", "C", "C", "C", "H", "H", "H", "H", "H", "H", "H", "H", "H", "H", "H", "H", "H", "H", "H", "C", "H", "H", "H"],
'''

Last Update
Jul 14, 2022
Doing business as
A I' S
A I’ S
Applied Imaging
5282 E Paris Ave, Grand Rapids, MI 49512
(***) ***-5200
(***) ***-9937
Business Supplies and Equipment
Computer Related Services
Whol Office Equipment Electrical Repair
Copiers & Copier Supplies
Business Services
Copying & Duplicating Services
Electric & Electronic Equipment & Supplies
Document Management
Content Management
Managed Print Services
Document Output Devices
Number of Employee
201-500 employees
811 - Repair and Maintenance

Decision Makers

Vice President Sales
Vice President Of Service Operations


Director I Production Print
Print Production Specialist
Grand Rapids Connectivity Manager
Sales Manager Major And Named Accounts
Support Desk Manager
Director Of Equipment Finance Services
Sales Manager
Digital Marketing Manager
Ems Territory Manager
Production Specialist

FAQs about Applied Imaging

'''
Computed, not measured: a molecular structure, C22H22BrCl4IrN4O4S, with ωB97M-V with the def2-TZVPD basis set.

As for the expectation value of S²: 8.779. Its energy above the lowest of the compared OMol25 structures with the same formula, charge and spin is 0.00 kcal per mole. The multiplicity is 6. Its total energy is -6288.5708 a.u. The highest occupied orbital energy (spin up / spin down) comes out at -10.0 / -10.6 eV. The value obtained for the orbital gap (spin up / spin down) is 6.4423 / 6.2485 eV. The net charge is +1.

Geometry (Å):
Ir -0.862 -0.075 -0.108
N -3.174 -0.221 0.278
C -3.493 -0.460 1.694
C -2.544 -1.516 2.227
N -1.146 -1.073 2.090
C -0.619 -0.272 3.208
C -0.513 1.200 2.849
N 0.132 1.314 1.539
H -3.676 0.573 -0.102
H -3.418 -1.034 -0.283
H -4.527 -0.777 1.836
H -3.360 0.481 2.231
H -2.652 -2.426 1.638
H -2.778 -1.755 3.266
H -0.560 -1.886 1.928
H 0.372 -0.647 3.455
H -1.246 -0.391 4.094
H 0.041 1.722 3.633
H -1.506 1.650 2.792
H 1.035 0.831 1.523
H 0.311 2.278 1.286
Cl -0.432 -4.422 -5.568
C -0.678 -3.780 -4.003
C -0.746 -4.677 -2.882
Cl -0.576 -6.354 -3.147
C -0.941 -4.199 -1.612
Cl -1.010 -5.229 -0.240
C -1.066 -2.811 -1.395
O -1.233 -2.297 -0.237
C -1.007 -1.901 -2.523
O -1.131 -0.662 -2.288
C -0.811 -2.430 -3.828
Cl -0.730 -1.319 -5.129
Br 2.968 -0.873 2.361
C 4.028 -0.906 0.774
C 5.399 -0.808 0.950
C 6.232 -0.858 -0.156
C 5.695 -1.027 -1.424
C 4.326 -1.148 -1.581
C 3.466 -1.077 -0.487
C 1.992 -1.212 -0.769
O 1.601 -2.034 -1.570
O 1.250 -0.341 -0.136
H 5.808 -0.700 1.945
H 7.302 -0.775 -0.021
H 6.344 -1.077 -2.289
H 3.893 -1.310 -2.560
S -1.438 1.963 -1.576
C -1.388 3.467 -0.765
N -0.785 4.497 -1.425
C -0.686 5.761 -0.948
C -1.207 6.073 0.270
C -1.854 5.057 0.995
C -1.943 3.783 0.485
H -0.388 4.276 -2.329
H -0.180 6.471 -1.586
H -1.129 7.080 0.651
H -2.297 5.285 1.956
H -2.466 2.999 1.014

Charges in e, computed with Mulliken, in the same order as the atoms: Ir 3.46; N -0.55; C -0.61; C -0.81; N -0.31; C -0.71; C -0.62; N -0.55; H 0.31; H 0.25; H 0.48; H 0.24; H 0.29; H 0.48; H 0.29; H 0.22; H 0.36; H 0.53; H 0.21; H 0.11; H 0.19; Cl -0.16; C 0.36; C 0.56; Cl -0.17; C -0.01; Cl -0.19; C -0.66; O -0.73; C 0.29; O -0.75; C 0.09; Cl -0.17; Br -0.16; C 0.38; C -0.65; C -0.49; C -0.67; C -0.52; C 0.33; C 0.53; O -0.53; O -0.81; H 0.42; H 0.39; H 0.39; H 0.45; S -0.44; C 0.23; N -0.03; C -0.24; C -0.63; C -0.27; C -0.28; H 0.25; H 0.42; H 0.41; H 0.44; H 0.39

~~~~~

Entry 1:
19
Properties=species:S:1:pos:R:3:nbo_charge:R:1 method="wB97M-V/def2-TZVPD" gap_ev=11.94 spin_multiplicity=1 e_tot_ev=-5410.500 smiles=CCC.CC homo_energy_ev=-10.851
C -2.0655 -1.1985 -0.3207 -0.608
C -1.5577 0.1822 -0.7907 -0.406
C -0.6710 -0.0087 -1.9997 -0.630
H -1.1935 -1.8529 -0.1068 0.205
H -2.6303 -0.9740 0.6041 0.214
H -2.5786 -1.5416 -1.1777 0.205
H -2.3499 0.9723 -0.8727 0.204
H -0.8441 0.6102 -0.0413 0.194
H -1.2222 -0.5302 -2.8568 0.203
H -0.3219 0.8803 -2.6471 0.212
H 0.3004 -0.3909 -1.6931 0.208
C 1.6003 -0.1801 1.4627 -0.615
'''
## So much for the molecular data

In which industries does Applied Imaging operate?

Industries for Applied Imaging are Business Supplies and Equipment, Computer Related Services, and Whol Office Equipment Electrical Repair.

Who works in Applied Imaging in the position of Secretary?

The Secretary in Applied Imaging is Sandra Lowery.

What is the specialization of Applied Imaging?

The specialties for Applied Imaging are Document Management, Content Management, Managed Print Services, Document Output Devices, and Ricoh

Are there any categories for Applied Imaging?

The company is associated with the categories, such as: Copiers & Copier Supplies, Business Services, Copying & Duplicating Services, Electric & Electronic Equipment & Supplies, and Fax Software Equipment & Supplies.

What are the phones of professionals connected with Applied Imaging?

**Unrelated to this text: quantum chemistry results:**
/*
1.
Here is a single C22H21ClFN3O4 molecule from the Open Molecules 2025 dataset. Energies are from ωB97M-V/def2-TZVPD.

Output
- Kohn-Sham gap (Eh) = 0.3472
- SMILES = O=C(c1cc(COc2ccc(F)cc2Cl)on1)N1CCC[C@H](OCc2cccnc2)C1

Positions of all 52 atoms, in Å:
O  -1.05517  -1.60292  -0.09146
C  -0.99408  -0.42113  0.21949
C  0.01140  0.43252  -0.46681
C  0.58318  0.09433  -1.72383
C  1.50614  1.07518  -1.93568
C  2.44972  1.33926  -3.06485
O  1.89440  1.01667  -4.31669
C  0.82501  1.72871  -4.76691
C  0.25062  2.81824  -4.12328
C  -0.83499  3.47737  -4.67748
C  -1.34529  3.03951  -5.88251
F  -2.40156  3.67541  -6.42421
C  -0.79931  1.95848  -6.55383
C  0.28231  1.30978  -5.99084
Cl  0.99074  -0.03774  -6.79028
O  1.49468  1.92665  -0.89392
N  0.57475  1.51694  0.00689
N  -1.83060  0.13321  1.11866
C  -1.78169  1.47553  1.64955
C  -1.17218  1.46135  3.05263
C  -1.93964  0.50182  3.96055
C  -1.98902  -0.88774  3.31660
O  -0.66073  -1.34475  3.24850
C  -0.48408  -2.69570  2.87105
C  0.98387  -3.00489  2.91450
C  1.90576  -2.12009  2.36647
C  3.25169  -2.43872  2.40955
C  3.62525  -3.63795  2.99780
N  2.75834  -4.48763  3.52008
C  1.47572  -4.17529  3.48091
C  -2.63817  -0.75697  1.92188
H  0.33216  -0.74082  -2.34083
H  3.32538  0.68667  -2.97810
H  2.78563  2.38402  -3.02456
H  0.64058  3.17267  -3.18331
H  -1.27967  4.32249  -4.17774
H  -1.21209  1.63210  -7.49403
H  -1.19228  2.11283  0.99371
H  -2.81160  1.84983  1.69480
H  -1.18832  2.46912  3.46757
H  -0.13691  1.12937  2.98156
H  -1.44203  0.42921  4.92757
H  -2.95956  0.85752  4.11862
H  -2.59741  -1.57694  3.92758
H  -0.84197  -2.86351  1.84345
H  -1.04262  -3.35833  3.54995
H  1.56135  -1.19900  1.92065
H  3.99420  -1.77352  1.99559
H  4.66405  -3.93569  3.05737
H  0.80546  -4.90159  3.92408
H  -2.69632  -1.72128  1.41583
H  -3.64513  -0.34462  2.02769

---

2.
Here is a molecular structure, C22H21ClN5S2SeSiV from the Open Molecules 2025 dataset. Energies are from ωB97M-V/def2-TZVPD.

Output
- multiplicity = 2
- Kohn-Sham gap (spin up / spin down) (Eh) = 0.2308 / 0.2324
- total charge = +1

Positions of all 54 atoms, in Å:
V  -1.82267  0.02245  -0.83290
C  3.93408  0.11831  0.38085
Si  3.12840  0.12738  2.04188
C  3.55920  -1.41472  2.97533
C  3.63957  1.62620  3.00505
C  1.22503  0.17290  1.98357
C  0.56498  0.23137  3.19987
C  -0.83421  0.27716  3.30439
C  -1.56158  0.21174  2.15490
N  -0.94683  0.13392  0.94647
C  0.39972  0.16319  0.83716
S  0.81854  0.22534  -0.84003
H  5.01969  0.12427  0.52602
H  3.66327  0.99521  -0.21224
H  3.67027  -0.77350  -0.19296
H  4.64173  -1.47293  3.12817
H  3.24935  -2.30896  2.42693
H  3.08335  -1.43723  3.96003
H  4.72671  1.65472  3.12784
H  3.19345  1.63182  4.00376
H  3.33450  2.54278  2.49169
H  1.14642  0.25024  4.11893
H  -1.32876  0.35432  4.26209
H  -2.64265  0.21456  2.15090
S  -1.13073  1.66517  -4.91819
C  -1.39867  -0.00225  -5.14873
C  -1.53871  -0.67420  -3.97025
C  -1.45710  0.18957  -2.83577
C  -1.24443  1.48488  -3.21865
*/

The official phones of professionals, connected with Applied Imaging may be in this list: (***) ***-5200, (***) ***-9937. For any additional information, contact us.

When was Applied Imaging founded?

It was founded on 1987.

In what address or location can the company be found nowadays?

Applied Imaging is located in Grand Rapids, Michigan.

What is the other name of Applied Imaging?

The alias for Applied Imaging is LOWERY CORPORATION.